_To do_
Transcribe only the last part of the notes underneath, starting with the line that has "0.6852 0.8009", please.

_Listing_
........
# 1
DFT (PBE+U) results for a geometry-optimized Li10Mn3Cr3Ni2O16 structure.

Unit cell a=5.9174 b=5.9869 c=9.8062 alpha=90.88 beta=90.90 gamma=119.09
Last column: nearest neighbours and their distance in Å.
Atoms (fractional coordinates):
Li: 0.0158 0.9942 0.4825  4 O 1.83-1.89
Li: 0.1966 0.3977 0.0625  3 O 1.93-2.05, 1 Li 2.15
Li: 0.3552 0.6773 0.2833  6 O 2.05-2.24
Li: 0.6871 0.3360 0.7833  6 O 2.06-2.19
Li: 0.8171 0.1861 0.5631  3 O 1.97-2.02, 1 Li 2.15
Li: 0.4001 0.1816 0.5649  4 O 1.96-2.13, 1 Li 2.13
Li: 0.2155 0.8132 0.0541  3 O 1.93-1.99, 1 Li 2.15
Li: 0.6179 0.7966 0.0576  3 O 1.99-2.06, 1 Li 2.21
Li: 0.8026 0.5983 0.5546  4 O 1.96-2.18
Li: 0.0177 0.0113 0.9835  4 O 1.84-1.86
Mn: 0.8492 0.1762 0.2862  4 O 1.97-1.99
Mn: 0.6788 0.8306 0.7844  4 O 1.96-2.04
Mn: 0.8465 0.6657 0.2846  4 O 1.94-2.02
Cr: 0.1854 0.3373 0.7867  6 O 2.03-2.06
Cr: 0.3524 0.1716 0.2859  6 O 2.03-2.06
Cr: 0.1840 0.8309 0.7853  6 O 2.03-2.07
Ni: 0.3432 0.6542 0.5304  6 O 2.12-2.23
Ni: 0.6788 0.3360 0.0295  6 O 2.08-2.27
O: 0.3412 0.1610 0.9040  1 Li 1.86, 2 Cr 2.06
O: 0.1686 0.3190 0.4033  1 Li 1.89, 1 Mn 1.99, 1 Cr 2.06
O: 0.5318 0.0254 0.1672  3 Li 1.98-2.17, 1 Mn 1.99, 1 Cr 2.04, 1 Ni 2.14
O: 0.0310 0.5076 0.6664  3 Li 1.97-2.14, 2 Cr 2.03-2.04, 1 Ni 2.12
O: 0.1811 0.8413 0.3948  2 Li 1.85-2.05, 1 Mn 2.02, 1 Cr 2.06
O: 0.8527 0.1642 0.8964  2 Li 1.84-2.06, 1 Mn 2.04, 1 Cr 2.06
O: 0.5059 0.5046 0.6723  3 Li 1.96-2.10, 1 Mn 2.01, 1 Cr 2.03, 1 Ni 2.12
O: 0.5215 0.4930 0.1712  3 Li 1.99-2.11, 1 Mn 1.99, 1 Cr 2.05, 1 Ni 2.13
O: 0.3287 0.6570 0.9088  3 Li 1.99-2.06, 2 Cr 2.03-2.04, 1 Mn 2.21
O: 0.6738 0.3039 0.4087  1 Mn 1.97, 3 Li 2.02-2.11, 1 Cr 2.03
O: 0.5053 0.9700 0.6699  3 Li 1.96-2.19, 1 Mn 1.96, 1 Cr 2.04, 1 Ni 2.12
O: 0.9994 0.5217 0.1616  2 Li 1.93, 1 Mn 1.94, 1 Ni 2.08
O: 0.6852 0.8009 0.4114  1 Li 1.84, 1 Mn 1.97
O: 0.8528 0.6877 0.8994  1 Li 1.86, 1 Mn 1.98, 1 Cr 2.07
O: 0.0428 0.0141 0.6687  1 Li 1.83, 2 Cr 2.03
O: 0.0212 0.0361 0.1704  1 Li 1.84, 1 Mn 1.97, 1 Cr 2.03

**ΔE_f**: -2056 meV/atom
**Final energy**: -6.15 eV per atom

# 2
DFT (PBE+U) results for a geometry-optimized BaMn2FeSi2O9 structure.

Unit cell a=10.8964 b=10.8964 c=5.4559 alpha=83.87 beta=83.87 gamma=37.51
Last column: nearest neighbours and their distance in Å.
Atoms (fractional coordinates):
Ba: 0.2194 0.2194 0.7592  10 O 2.76-3.02
Ba: 0.7806 0.7806 0.2408  10 O 2.76-3.02
Mn: 0.7637 0.2363 0.0000  6 O 2.13-2.26
Mn: 0.2363 0.7637 0.0000  6 O 2.13-2.26
Mn: 0.0000 0.0000 0.5000  2 O 1.92
Mn: 0.5000 0.5000 0.5000  6 O 2.14-2.29
Fe: 0.6411 0.6411 0.7874  5 O 1.89-2.00
Fe: 0.3589 0.3589 0.2126  5 O 1.89-2.00
Si: 0.9093 0.3623 0.2917  4 O 1.63-1.66
Si: 0.3623 0.9093 0.2917  4 O 1.63-1.66
Si: 0.0907 0.6377 0.7083  4 O 1.63-1.66
Si: 0.6377 0.0907 0.7083  4 O 1.63-1.66
O: 0.0423 0.0423 0.7953  3 Mn 1.92-2.13
O: 0.9577 0.9577 0.2047  3 Mn 1.92-2.13
O: 0.1592 0.1592 0.2795  2 Si 1.66
O: 0.8408 0.8408 0.7205  2 Si 1.66
O: 0.8142 0.2978 0.3263  1 Si 1.64
O: 0.2978 0.8142 0.3263  1 Si 1.64
O: 0.1858 0.7022 0.6737  1 Si 1.64
O: 0.7022 0.1858 0.6737  1 Si 1.64
O: 0.8591 0.4788 0.0277  1 Si 1.63
O: 0.4788 0.8591 0.0277  1 Si 1.63
O: 0.1409 0.5212 0.9723  1 Si 1.63
O: 0.5212 0.1409 0.9723  1 Si 1.63
O: 0.8601 0.4805 0.5239  1 Si 1.63
O: 0.4805 0.8601 0.5239  1 Si 1.63
O: 0.1399 0.5195 0.4761  1 Si 1.63
O: 0.5195 0.1399 0.4761  1 Si 1.63
O: 0.5489 0.5489 0.8254  1 Fe 1.89
O: 0.4511 0.4511 0.1746  1 Fe 1.89

**ΔE_f**: -2674 meV/atom
**Final energy**: -7.50 eV per atom
........

_Response_
O: 0.6852 0.8009 0.4114  1 Li 1.84, 1 Mn 1.97
O: 0.8528 0.6877 0.8994  1 Li 1.86, 1 Mn 1.98, 1 Cr 2.07
O: 0.0428 0.0141 0.6687  1 Li 1.83, 2 Cr 2.03
O: 0.0212 0.0361 0.1704  1 Li 1.84, 1 Mn 1.97, 1 Cr 2.03

**ΔE_f**: -2056 meV/atom
**Final energy**: -6.15 eV per atom

# 2
DFT (PBE+U) results for a geometry-optimized BaMn2FeSi2O9 structure.

Unit cell a=10.8964 b=10.8964 c=5.4559 alpha=83.87 beta=83.87 gamma=37.51
Last column: nearest neighbours and their distance in Å.
Atoms (fractional coordinates):
Ba: 0.2194 0.2194 0.7592  10 O 2.76-3.02
Ba: 0.7806 0.7806 0.2408  10 O 2.76-3.02
Mn: 0.7637 0.2363 0.0000  6 O 2.13-2.26
Mn: 0.2363 0.7637 0.0000  6 O 2.13-2.26
Mn: 0.0000 0.0000 0.5000  2 O 1.92
Mn: 0.5000 0.5000 0.5000  6 O 2.14-2.29
Fe: 0.6411 0.6411 0.7874  5 O 1.89-2.00
Fe: 0.3589 0.3589 0.2126  5 O 1.89-2.00
Si: 0.9093 0.3623 0.2917  4 O 1.63-1.66
Si: 0.3623 0.9093 0.2917  4 O 1.63-1.66
Si: 0.0907 0.6377 0.7083  4 O 1.63-1.66
Si: 0.6377 0.0907 0.7083  4 O 1.63-1.66
O: 0.0423 0.0423 0.7953  3 Mn 1.92-2.13
O: 0.9577 0.9577 0.2047  3 Mn 1.92-2.13
O: 0.1592 0.1592 0.2795  2 Si 1.66
O: 0.8408 0.8408 0.7205  2 Si 1.66
O: 0.8142 0.2978 0.3263  1 Si 1.64
O: 0.2978 0.8142 0.3263  1 Si 1.64
O: 0.1858 0.7022 0.6737  1 Si 1.64
O: 0.7022 0.1858 0.6737  1 Si 1.64
O: 0.8591 0.4788 0.0277  1 Si 1.63
O: 0.4788 0.8591 0.0277  1 Si 1.63
O: 0.1409 0.5212 0.9723  1 Si 1.63
O: 0.5212 0.1409 0.9723  1 Si 1.63
O: 0.8601 0.4805 0.5239  1 Si 1.63
O: 0.4805 0.8601 0.5239  1 Si 1.63
O: 0.1399 0.5195 0.4761  1 Si 1.63
O: 0.5195 0.1399 0.4761  1 Si 1.63
O: 0.5489 0.5489 0.8254  1 Fe 1.89
O: 0.4511 0.4511 0.1746  1 Fe 1.89

**ΔE_f**: -2674 meV/atom
**Final energy**: -7.50 eV per atom